Do Italians say Si for yes?

To say yes in Italian, you use two letters and an accent: . As in English, it is used both as an interjection and a way to express a positive answer. The grave accent above the i is very important. Without the accent, si becomes a noun or a pronoun. (You can read more about this further down.)


Do Italians say Si for yes?

Carla, mi vuoi sposare? – Sì!

Carla, do you want to marry me? – Yes!

As in English, you can use to reply positively to a negation:

Non avrai mica intenzione di bere tutta la bottiglia, vero? – Sì!

You’re not planning on drinking the whole bottle, are you? – Yes!

can also be followed by words that strengthen your answer:

  • , certo or sì, certo che sì= yes, of course / yes, of course yes
  • , assolutamente = yes, absolutely
  • , certamente = yes, certainly

In English, you can add yes to the end of a question as a way of seeking confirmation. You can do the same in Italian, although you’ll hear words such as vero (true) or giusto (correct) more frequently, just as you would often use right in English.

Lui è tuo figlio, sì (giusto) ? – Sì!

He is your son, yes (right) ? – Yes!

In English, we often use tag questions such as didn’t you at the end of a sentence, whereas in Italian, , vero or giusto will do the job.

Ti sei ricordato di ritirare la ricetta, vero? – Sì, l’ho ritirata questa mattina.

You did remember to get the prescription, didn’t you? – Yes, I got it this morning.

You can say Sì? when answering the door or the telephone. In the case of the latter, you may prefer the popular Pronto? which literally means ready.

is also an effective way to express joy:

Sì! Ho finalmente superato gli esami!

Yes! I finally passed my exams!

There are other expressions to emphasis joy or happiness, and they can often be mixed together in the same sentence:

  • Evvai! Evviva! = Hurray!
  • E vai! E andiamo! = Come on!
  • Ma vai! Ma vieni!
  • Ma chi sono!?! (this one is self-congratulatory)

L’Italia ha vinto i mondiali di calcio! – Ma vieni! Ma vai! Grandi! Forza azzurri, ! Ora si va a festeggiare in piazza! Ma andiamo!

Italy has won the World Cup! – Yes! Come on! Go Azzurri! Yes! Now we’re off to celebrate in the square! Come on!

The video below is a scene from the Italian comedy Tre Uomini e Una Gamba featuring the popular comedic trio Aldo, Giovanni e Giacomo. At minute 2:16, Giovanni decides to show off in front of some kids. Pay attention to what he says when he gloats.

Note: Ma vai can also be a friendly way of telling someone off. Ma vai, va! or Ma vai via! mean get lost. It is a shortened version of expressions such as:
Vai a quel paese! = Lit: Go to that country!
Vaffambagno! (Va’ a fa’ ‘n bagno!) = Lit: Go take a bath!
and more vulgar ones!

Other meanings

Without the grave accent on the i, si can mean various things:

  • the musical note (B in English)
  • a reflexive pronoun (1), third person impersonal pronoun (2), or third person passive pronoun (3)

(1) Hai visto Giorgio? Si è comprato la moto nuova.

Have you seen Giorgio? He’s bought himself a new bike.

(2) In Italia si cena tardi.

In Italy people have dinner late.

(3) Questo numero si chiama solo in caso di emergenza.

This number is to be called only in case of emergency.


is the last word in the lyrics of the Italian national anthem (Inno di Mameli). I had the chance to hear it live at the closing ceremony of 2006 Turin Olympic Games and the final yelled out by the entire stadium had an incredibly powerful effect!

These molecular data were left in the entry by mistake:
=====
49
Properties=species:S:1:pos:R:3:forces:R:3:lowdin_charge:R:1 method="wB97M-V/def2-TZVPD" total_energy_ev=-82800.472 homo_lumo_gap_ev=7.014 homo_ev=-2.14 charge=-2 lumo_energy_ev=4.871 de_lowest_ev=0.000
Lu -0.690218 0.032147 -0.029780 -0.0333 0.3457 0.1828 1.581
O 3.671891 0.737029 0.471543 0.0752 -0.0547 -0.0129 0.011
C 2.619597 0.272657 0.039986 -0.0733 -0.0287 0.0776 -0.616
O 1.443298 0.646510 0.382415 0.0507 0.0062 -0.0855 -0.168
C 2.674787 -0.770934 -1.086050 0.0617 -0.0453 -0.0404 -0.099
C 1.881140 -0.230295 -2.288458 -0.0682 0.0833 0.0418 -0.245
C 2.240761 -0.988172 -3.569154 0.0203 0.0014 -0.0220 -0.096
C 1.503444 -2.332136 -3.345230 0.0038 -0.0521 -0.0094 -0.093
C 0.887626 -2.116867 -1.963145 -0.2294 0.1412 0.0393 -0.242
O 0.553384 -0.707230 -2.017198 0.1438 -0.1633 -0.0482 -0.174
C 1.957132 -2.152830 -0.864146 0.1507 -0.0548 0.0056 -0.099
C 1.342606 -2.400284 0.527346 -0.1038 0.0857 0.0616 -0.615
O 1.942887 -3.118978 1.319387 0.1016 -0.0191 -0.0291 0.019
O 0.200664 -1.851149 0.730336 -0.0385 -0.0310 -0.0875 -0.183
H 3.723548 -0.927984 -1.337468 -0.0139 0.0527 0.0225 0.140
H 1.848825 0.854581 -2.369816 0.0489 -0.0156 -0.0148 0.163
H 1.855415 -0.467001 -4.445608 -0.0036 0.0043 0.0082 0.109
H 3.320265 -1.100008 -3.678989 -0.0008 0.0051 0.0049 0.107
H 0.714502 -2.476508 -4.082684 -0.0009 -0.0050 0.0065 0.113
H 2.166475 -3.198197 -3.365124 0.0031 0.0064 0.0044 0.108
H -0.027413 -2.663227 -1.748387 0.0520 -0.0470 -0.0279 0.158
H 2.676146 -2.954471 -1.039807 -0.0479 -0.0106 0.0410 0.141
N -0.532611 2.467039 0.547546 -0.1910 -0.1850 0.1520 -0.100
C -0.322967 3.270707 -0.648794 0.0681 0.0587 -0.0631 -0.188
C -1.082956 2.699743 -1.849719 -0.0150 -0.0043 -0.0503 -0.587
O -1.300199 3.443240 -2.824673 0.0176 0.0186 0.0161 -0.053
N -1.398724 1.421728 -1.709563 0.0360 0.1445 -0.0069 -0.100
C -2.082672 0.790877 -2.809432 -0.0848 -0.1187 -0.2226 -0.165
C -2.346140 -0.690050 -2.509035 0.0775 -0.0347 0.0303 -0.662
O -2.787045 -1.418086 -3.397166 -0.0438 0.0556 -0.0341 -0.020
O -2.059280 -1.071895 -1.312136 -0.1357 -0.1569 -0.0901 -0.214
H 0.197659 2.579688 1.238530 0.0122 0.0166 -0.0241 0.081
H -1.444108 2.602897 0.973323 0.0510 0.1108 -0.0051 0.029
H -0.600390 4.323997 -0.537190 -0.0229 -0.0297 0.0091 0.102
H 0.743623 3.238745 -0.890084 -0.0173 0.0103 -0.0054 0.113
H -3.045021 1.268751 -3.035199 0.0193 0.0063 0.0650 0.120
H -1.516125 0.840882 -3.747654 0.0355 0.0088 0.0560 0.117
S -2.742095 0.432343 1.803710 0.0491 -0.1532 0.0397 0.482
C -2.069302 0.279839 3.421327 0.0226 0.0662 -0.0194 -0.715
C -2.659064 0.960301 4.496448 -0.0298 0.0386 -0.0091 -0.161
C -2.156157 0.860805 5.783328 0.0068 -0.0130 0.0420 -0.139
C -1.039450 0.076256 6.047579 -0.0030 0.0080 -0.0094 -0.143
C -0.446764 -0.608443 4.993708 0.0002 -0.0092 -0.0062 -0.109
C -0.951423 -0.515846 3.705348 0.0483 -0.0956 0.0224 -0.120
H -3.526888 1.579666 4.302342 -0.0006 -0.0025 -0.0242 0.080
H -2.643754 1.405598 6.585725 0.0178 -0.0060 0.0131 0.082
=====
Here the entry continues:

Stringiamoci a coorte,
siam pronti alla morte.
Siam pronti alla morte,
l’Italia chiamò! Sì!

**These quantum chemistry results were left in the text by mistake**
-- begin --
(1)
38
Properties=species:S:1:pos:R:3 method="wB97M-V/def2-TZVPD" gap_ev=9.67 spin_multiplicity=1 lumo_ha=-0.01170 relative_energy_kcal_mol=14.4 molar_mass_g_mol=276.3
Ne 0.2275 0.6383 0.1462
Ar -1.9479 -1.4552 2.1507
O -3.5277 1.9487 -0.7866
H -3.6361 1.0007 -0.7105
H -2.5928 2.0708 -0.9518
O -0.9410 0.2564 -3.2709
H -1.0485 -0.5753 -2.8093
H -1.2119 0.9198 -2.6363
O -1.4913 -2.0094 -1.3577
H -1.7621 -2.9100 -1.5360
H -0.7659 -2.0949 -0.7390
O 3.1084 0.8038 0.6776
H 3.5380 0.9914 -0.1569
H 3.2776 -0.1258 0.8310
O 0.3248 -2.9251 0.6004
H -0.0228 -3.7845 0.8387
H 0.2200 -2.3961 1.3912
O -3.9578 -0.8137 -0.7164
H -3.1446 -1.3030 -0.5915
H -4.5389 -1.1339 -0.0265
O 2.4452 -1.9257 -2.2815
H 1.9597 -1.5100 -1.5689
H 2.8820 -1.2010 -2.7290
O -0.7438 3.7530 0.9652
H -1.4468 3.9307 1.5901
H -0.3298 4.6040 0.8213
O -0.8348 2.7047 -1.5865
H -0.5857 3.3310 -0.9068
H -0.2798 2.9281 -2.3337
O 1.5501 2.5427 1.9077
H 1.8919 1.9050 1.2809
H 0.6755 2.7548 1.5816
O 1.4528 -1.2839 3.0854
H 1.2155 -2.0922 3.5398
H 2.0104 -0.8145 3.7060
O 3.0144 -2.0709 0.7661
H 2.6236 -2.8504 0.3711
H 2.3926 -1.8085 1.4449



(2)
19
Properties=species:S:1:pos:R:3 method="wB97M-V/def2-TZVPD" gap_ev="9.77 / 4.70" spin_multiplicity=2 lumo_ha="-0.14594 / -0.33239" total_charge=+1 relative_energy_kcal_mol=3.5 molar_mass_g_mol=128.2
C 0.1483 -1.1828 -0.8464
O 0.7816 -0.6468 0.3229
C -0.4942 -0.0435 -1.5949
C -1.7700 0.4012 -0.8851
S -2.0887 2.1071 -1.2238
H 0.8887 -1.6880 -1.4490
H -0.5859 -1.9351 -0.5348
H 1.5830 -1.1795 0.4553
H 0.1788 0.8013 -1.5776
H -0.6767 -0.3182 -2.6228
H -1.5910 0.4082 0.1982
H -2.6927 -0.1858 -0.9974
H -3.2669 2.2747 -0.5806
H 3.7894 0.0120 1.0960
H 3.6114 -1.0827 2.1893
O 3.4240 -0.8634 1.2631
H 0.3616 -1.1288 3.5216
H 1.4505 -0.8914 2.4975
O 1.2771 -1.3671 3.3191



(3)
11
Properties=species:S:1:pos:R:3 method="wB97M-V/def2-TZVPD" gap_ev=8.40 spin_multiplicity=1 lumo_ha=0.00017 relative_energy_kcal_mol=60.8 molar_mass_g_mol=83.1
C -1.4230 -0.3921 -0.0597
C -0.0076 0.1183 0.0124
C 0.3508 1.3803 0.6672
O 1.4817 1.8162 0.7670
C 1.9271 -1.0060 -1.0760
N 0.9721 -0.5493 -0.4992
H -1.7511 -0.8474 0.8834
H -1.5211 -1.1451 -0.8467
H -2.1191 0.4220 -0.2914
H -0.5178 1.9339 1.0783
H 2.6078 -1.7308 -0.6352



(4)
86
Properties=species:S:1:pos:R:3 method="wB97M-V/def2-TZVPD" gap_ev="6.62 / 6.63" spin_multiplicity=3 lumo_ha="-0.04768 / -0.04754" molar_mass_g_mol=1092.7
Pr 0.1595 -0.4482 -0.4378
C -1.1801 2.3373 2.6419
C -2.5549 1.8520 2.2352
S -2.4686 0.3203 1.2517
C -4.0798 0.4567 0.4285
C -4.1257 -0.3903 -0.8274
S -2.8116 0.0122 -2.0012
C -3.3511 1.6220 -2.6370
C -2.1412 2.3160 -3.2433
S -0.7133 2.4192 -2.1243
C -1.5139 3.3715 -0.8003
C -0.5171 3.7409 0.2853
S 0.0438 2.3489 1.3092
H -0.7505 1.6878 3.4005
H -1.2409 3.3418 3.0601
H -3.0762 2.5998 1.6349
H -3.1293 1.6175 3.1300
H -4.2533 1.5097 0.1986
H -4.8437 0.1338 1.1366
H -5.0877 -0.2897 -1.3290
H -3.9622 -1.4427 -0.5928
H -3.7844 2.2123 -1.8300
H -4.1139 1.4675 -3.4011
H -2.3939 3.3268 -3.5636
H -1.7711 1.7620 -4.1075
-- stop --

Let us join in a cohort,
We are ready to die.
We are ready to die,
Italy has called! Yes!

This clip from a volleyball game isn’t quite the same as the closing ceremony, but you can get an idea of what the anthem sounds like when sung by a crowd of people.

Additional phrases:

Vuoi venire con noi a teatro questa sera? – Sì, con piacere!

Do you want to come with us to the theatre tonight? – Yes, with pleasure!

Allora, che cosa ti ha risposto? – Mi ha detto di sì!!

So, what did he say? – He said yes!!

Sei sicuro di aver preso i biglietti? – Sì, sicurissimo!

Are you sure you got the tickets? – Yes, very sure!

L’hai scritta tu questa canzone? – Sì, ti piace? – È bellissima!

Did you write this song? – Yes, do you like it? – It’s wonderful!

Does SI mean yes in Italian?

To say yes in Italian, you use two letters and an accent: sì. As in English, it is used both as an interjection and a way to express a positive answer. The grave accent above the i is very important. Without the accent, si becomes a noun or a pronoun.

Do Italians use SI?

In Italian, we have a simple way to make a generalization or to make a sentence where the subject is not specified: the impersonal form. for example, in Italia, si + mangia bene.

What is the difference between SI and SÌ in Italian?

"Sì" with accent is an adverb meaning "yes". "Si" without accent is a singular third-person pronoun that can have different uses and meanings.

Do Italians pronounce S as Z?

There are some consonants in the Italian language that have two unique pronunciations, such as: S and SS- If S is used singular, in the middle of a word, it can often sound like a Z. If a double S (SS) is present, then the S is very much emphasized. (For example, casa, passare)